
All posts tagged event-based

Some time back (lol) someone asked me if I was “time-blind”. Lovely pejorative, huh? I thought first about how ridiculous of a question that was, and then thought about it for a while more and realized that there is more than one way to perceive time, and neuro-diverse (ND) people seem to be prone to it.

Let’s go there.

The traditional perception of time is based on the clock or calendar. I will call this clock-based time or calendar-based time. It is focused on units of duration – how long something takes to happen or do or whatever. A meeting is one hour long. A week is seven days long. A car trip is seven hours. Going to college is four years. And so on. The world basically runs this way. Neurotypical (NT) people generally run this way.

ND people are often found to be less focused on duration – we can become engaged in topics and lose track of clock-based time, frustrating those around us. This does not mean we are “time blind”, it means that we perceive time differently than those who perceive clock-based time and the durations that characterize it. Time either happens or does not happen for us. That’s why an ND person may tell you something is happening “tomorrow” and mean next month. “Tomorrow” in this case is the next time that whatever is going on will happen again.

This standard thinking of time as limited to standard units of duration such as hours and months is insufficient and inconsistent for people like myself. Instead of perceiving time in units of duration, we perceive it in units of events. Each event has a start and finish. I have three event states – not started, in progress, and finished. For example, when someone asks me how long a task will take, it is hard for me to estimate. Instead of hours, I see the task in terms of steps that have to be linked up and completed. I call this type of time event-based time to differentiate it from calendar-based time or clock-based time. Keeping event-based time is part of the systemizing skill group.

-- begin --
[1]
Rb2MgSnCl6: theoretical X-ray powder pattern (copper Kα), based on a crystal structure in Alexandria, relaxed with PBE.
Intensities are scaled so that the largest is 100.

The 12 most intense peaks (10° ≤ 2θ ≤ 80°), in order of rising 2θ:
2θ/deg  Rel. int.
14.38  18
23.59  100
27.74  22
29.00  39
33.61  93
36.72  16
41.47  46
48.26  62
54.40  23
60.09  21
65.48  26
75.65  12

Crystal structure
Cell lengths 10.667, 10.667, 10.667 Å; angles 90.00, 90.00, 90.00 degrees
Space group Fm-3m (No. 225)
Asymmetric unit:
Rb 0.250 0.250 0.250 [8 per cell]
Mg 0.000 0.000 0.000 [4 per cell]
Sn 0.000 0.000 0.500 [4 per cell]
Cl 0.000 0.000 0.237 [24 per cell]



[2]
RbMgTiCl6: theoretical X-ray powder pattern (copper Kα), based on a crystal structure in Alexandria, relaxed with PBE.
Intensities are scaled so that the largest is 100.

The 12 most intense peaks (10° ≤ 2θ ≤ 80°), in order of rising 2θ:
2θ/deg  Rel. int.
13.56  18
22.59  36
22.74  100
23.12  25
24.11  29
27.78  49
30.24  32
30.73  20
35.77  44
36.51  26
39.08  25
39.36  56

Crystal structure
Cell lengths 8.951, 9.219, 13.057 Å; angles 90.00, 90.00, 90.00 degrees
Space group Imma (No. 74)
Asymmetric unit:
Rb 0.000 0.250 0.089 [4 per cell]
Mg 0.250 0.250 0.750 [4 per cell]
Ti 0.000 0.000 0.500 [4 per cell]
Cl 0.000 0.250 0.443 [4 per cell]
Cl 0.000 0.250 0.827 [4 per cell]
Cl 0.196 0.042 0.625 [16 per cell]



[3]
Rb2Mg2TlCl7: theoretical X-ray powder pattern (copper Kα), based on a crystal structure in Alexandria, relaxed with PBE.
Intensities are scaled so that the largest is 100.

The 12 most intense peaks (10° ≤ 2θ ≤ 80°), in order of rising 2θ:
2θ/deg  Rel. int.
17.87  41
20.24  24
24.41  65
24.92  56
28.42  44
32.30  100
34.04  26
35.53  67
43.58  30
50.02  32
51.12  23
61.78  28

Crystal structure
Cell lengths 5.054, 5.054, 26.336 Å; angles 90.00, 90.00, 90.00 degrees
Space group I4/mmm (No. 139)
Asymmetric unit:
Rb 0.000 0.000 0.182 [4 per cell]
Mg 0.000 0.000 0.403 [4 per cell]
Tl 0.000 0.000 0.000 [2 per cell]
Cl 0.000 0.000 0.309 [4 per cell]
Cl 0.000 0.000 0.500 [2 per cell]
Cl 0.000 0.500 0.094 [8 per cell]



[4]
Rb2MgZnCl6: theoretical X-ray powder pattern (copper Kα), based on a crystal structure in Alexandria, relaxed with PBE.
Intensities are scaled so that the largest is 100.

The 12 most intense peaks (10° ≤ 2θ ≤ 80°), in order of rising 2θ:
2θ/deg  Rel. int.
15.43  11
24.04  41
25.96  69
31.16  95
34.26  100
39.64  32
43.48  35
46.90  14
49.23  33
53.38  51
59.42  25
64.97  27

Crystal structure
Cell lengths 7.403, 7.403, 9.094 Å; angles 90.00, 90.00, 90.00 degrees
Space group I4/mmm (No. 139)
Asymmetric unit:
Rb 0.000 0.500 0.250 [4 per cell]
Mg 0.000 0.000 0.000 [2 per cell]
Zn 0.000 0.000 0.500 [2 per cell]
Cl 0.000 0.000 0.258 [4 per cell]
Cl 0.245 0.245 0.000 [8 per cell]



[5]
MgRh2Cl: theoretical X-ray powder pattern (copper Kα), based on a crystal structure in Alexandria, relaxed with PBE.
Intensities are scaled so that the largest is 100.
-- stop --
== The piece goes on ==

The value of event-based time is best demonstrated when laying out a Gantt chart. Durations are important, but without the correct linking of task starts and finishes, the chart is meaningless and adds no value to the project plan. This is the area where event-based time people excel – lining up things so the work gets done in the correct order and the overall task completes on time.

Next time you want to call someone “time-blind”, please take a step back and ask yourself if they instead run on event-based time. Once the architecture of event-based time is established, the event-based person can start to plan for better recognizing clock-based time and the clock-based time person can start to recognize the value the event-based time thinker brings to the table.

Hopefully, we can retire the pejorative “time-blind” in the near future.